Saturday 29 April 2017

France's "The Revolt of the Angels".

What comes next are molecular data, not part of the page:
(1)
Below is C29H36N6O5ReSi as an isolated structure, with properties calculated with ωB97M-V/def2-TZVPD.

```
78
Properties=species:S:1:pos:R:3:forces:R:3
Re -0.01875 -0.22904 -0.12258 -0.37 -0.14 0.62
O 1.19082 2.38280 2.82005 0.00 0.07 -0.02
C 1.30095 1.34476 2.24701 -0.09 -0.03 -0.04
O 0.50783 1.08049 1.16719 0.18 0.10 -0.14
C 2.24303 0.26470 2.66806 0.00 -0.04 0.03
C 3.00761 0.46406 3.81822 0.02 -0.01 0.04
C 3.86255 -0.52857 4.27245 0.02 0.00 0.02
C 3.96536 -1.73993 3.59808 0.03 -0.02 0.02
C 3.20346 -1.91285 2.45924 0.03 -0.08 -0.07
C 2.35914 -0.93107 1.98725 0.00 0.03 -0.06
N 3.27022 -3.17852 1.70031 -0.12 -0.05 0.07
O 2.52964 -3.28292 0.72218 0.09 0.07 -0.02
O 4.02169 -4.03374 2.08238 -0.01 0.08 -0.05
H 2.91627 1.40236 4.34896 0.00 0.00 -0.01
H 4.45371 -0.36232 5.16265 -0.02 -0.01 -0.01
H 4.61520 -2.53208 3.94356 0.00 0.02 -0.01
H 1.83063 -1.15168 1.06879 0.00 -0.05 0.00
C -3.32366 4.88560 -0.30493 0.00 0.00 0.02
C -3.91990 3.94282 -1.12943 -0.01 -0.05 0.01
C -3.19824 2.82921 -1.53944 -0.03 0.00 0.11
C -1.87118 2.65627 -1.12668 -0.04 0.17 0.00
C -1.28364 3.61514 -0.29093 -0.04 0.01 0.02
C -2.00803 4.72147 0.11784 0.01 -0.02 0.03
Si -0.90276 1.29491 -1.87923 -0.23 0.14 -0.30
C 0.58195 1.80050 -2.84825 0.14 -0.03 0.05
C 0.46184 1.97141 -4.23030 0.12 -0.09 -0.07
C 1.53970 2.43441 -4.97256 -0.04 -0.02 -0.01
C 2.74379 2.72905 -4.34605 0.01 -0.01 -0.01
C 2.87481 2.57442 -2.97211 -0.01 0.00 0.00
C 1.79695 2.11342 -2.23013 0.03 0.10 0.11
H -3.88503 5.75537 0.01012 0.01 0.00 0.00
H -4.94180 4.07636 -1.45860 0.00 0.01 0.00
H -3.67197 2.09882 -2.18817 0.03 0.04 -0.02
H -0.26293 3.49377 0.05706 -0.01 0.02 -0.05
H -1.54956 5.45919 0.76322 -0.01 -0.01 -0.01
H -1.81978 0.43298 -2.66403 0.05 -0.08 -0.01
H -0.47248 1.74739 -4.73412 0.03 0.00 0.01
H 1.43758 2.57209 -6.04104 0.00 0.00 0.01
H 3.58008 3.09142 -4.92959 -0.02 0.01 0.01
H 3.80423 2.83639 -2.48225 -0.01 -0.02 0.00
H 1.89657 2.04674 -1.14654 0.00 -0.01 -0.05
C -2.32464 0.87495 1.72610 -0.09 -0.08 0.07
N -3.46695 0.53024 2.51517 0.05 -0.10 -0.05
C -4.49553 -0.08275 1.67157 0.02 -0.01 0.00
N -3.99708 -1.32742 1.06407 0.07 0.04 0.11
C -2.86296 -1.03025 0.24405 -0.03 0.02 0.10
N -1.73799 -0.39502 1.06672 0.22 0.06 -0.18
C -1.40281 -1.37082 2.20368 -0.11 0.01 0.00
N -2.56267 -1.65991 2.98834 -0.06 0.06 -0.07
C -3.08309 -0.41135 3.56828 0.00 0.00 -0.01
C -3.60162 -2.25158 2.13449 0.00 0.03 -0.01
H -1.54179 1.31661 2.33694 0.02 -0.01 0.02
H -2.58919 1.56079 0.92487 -0.02 -0.03 -0.01
H -4.78755 0.61505 0.88588 0.01 0.00 -0.01
H -5.36813 -0.31334 2.27932 -0.01 0.00 0.00
H -3.13129 -0.32352 -0.54204 0.00 0.03 0.01
H -2.46735 -1.94747 -0.20122 0.01 -0.01 -0.01
H -0.63006 -0.90315 2.81546 0.01 0.02 0.01
H -1.01376 -2.28881 1.75195 0.00 -0.01 -0.01
H -2.32040 0.04123 4.20277 0.01 0.00 0.00
H -3.95332 -0.64406 4.17849 -0.01 -0.01 0.01
H -4.47245 -2.47812 2.74579 -0.01 -0.01 0.01
H -3.23110 -3.18053 1.69811 0.01 0.00 -0.01
C 3.26272 -1.27487 -2.12482 -0.01 -0.04 0.01
N 2.45192 -2.49058 -2.21231 0.23 -0.06 -0.14

A bookish angel whose studies turned into a blasphemer and a rebel against the Creator, an idle and womanising aristocratic youth who rediscovered his own version of Catholic faith after being dumped by his guardian angel, and a librarian with an unhealthy attachment to books are the main characters of Anatole France's "The Revolt of the Angels".

Around these three characters, whose paths criss-cross, France, the 1921 Nobel Prize in Literature winner, weaves a story set in early 20th century Paris, in 35 short vignettes, telling their frequently small, occasionally large, personal adventures and dramas. Surprisingly and in contrast to the supernatural nature of its protagonist and his epic quest, those episodes, often told with charm and a subtle, benign humour, are eminently down to earth, providing a glimpse into the final years of the French Belle Époque.

Wednesday 26 April 2017

Bhaskar against Marx's Alleged Determinism.

Guess what?

Roy Bhaskar, founder of critical realism, wrote the entry "Determinism", for A Dictionary of Marxist Thought, Tom Bottomore (ed.).

Saturday 22 April 2017

Scientific Socialism: a Primer.

David Ruccio writes about yesterday's March for Science staged in many countries, including Australia. In our times of alternative facts and fake news, its significance is evident.

Ruccio's post, however, also reminded me of Albert Einstein's essay "Why Socialism?", where Einstein laid out his views on socialism.

Although his prominence may have afforded Einstein some protection, it took courage to pen that piece: the late 1940s-early 1950s wasn't a good time to write favourably about socialism anywhere, least of all in an openly Marxist journal. Yet, "Why Socialism?" was published originally in 1949 in the first issue of the Monthly Review, whose editors -- whom we might suppose know something about basic Marxism -- decided to file it under "Marxism".

Thursday 20 April 2017

The Problem: Houses of Parliament!

Housing affordability has been a big issue in Australia for a long while. It was a big issue before the Lehman Brothers collapse in September 2008 in the US and has remained a big issue for many Australians ever since:

Monday 17 April 2017

Experiences of an Ageing Marxist: Commodities.

Although I often stray away from Marxism and write about other subjects, I'm writing this post as a Marxist, confident that Marxist readers have shared similar experiences. I address myself to them.

Although non-Marxist readers are welcome to read on, they may well find the subject uninteresting. If you are a non-Marxist you might want to skip this (trust me, I'll understand). If you decide to stay, do so at your own peril. :-)

Tuesday 11 April 2017

The Doctrine of Fascism: Epilogue.

"The Fascist state claims its ethical character: it is Catholic but above all it is Fascist, in fact it is exclusively and essentially Fascist. Catholicism completes Fascism, and this we openly declare, but let no one think they can turn the tables on us, under cover of metaphysics or philosophy". (To the Chamber of Deputies, May 13, 1929, in Discorsi del 1929, Milano, Alpes, 1930, p. 182).

This post comments on the Footnotes Appendix to "The Doctrine of Fascism" and closes this series. That Appendix contains a series of quotes culled from different documents and speeches. It's the only part of the essay we can be reasonably sure reflects Mussolini's words.

The opening quote is one of them. Barring something lost in translation, that's a sample of his clear-sighted wisdom. There's no need for my comment (yours is welcome, however).

Saturday 8 April 2017

The Evil Empire.

The setting is a polished clean, impersonal room; control consoles, covered by electronic displays and buttons, surround a group of dignitaries, all of them professionally dressed, in the elegant but sober style one has come to associate with important people.

They are observing the world from far above.

A man in his fifties runs the show. He is handsome, with that kind of unexceptional good looks appropriate to his job. His hair is already turning grey. And what a show he is running: epic images of global destruction observed from a distance of hundreds of kilometres.

In awe with the apocalyptic power he feels it's his, the man only manages to say: "Oh. It's beautiful".

These quantum chemistry results were left in the piece by mistake.
┌──
one:
A 2-piece molecular cluster, C6H16 overall, computed with ωB97M-V/def2-TZVPD.

Geometry as XYZ:
```
22
Properties=species:S:1:pos:R:3:lowdin_charge:R:1
C 2.05889 2.97193 -0.43408 -0.17
H 0.38533 -0.48164 0.51382 0.11
H -0.94235 -3.17125 1.06428 0.08
H -1.70075 -0.22109 1.86853 0.07
H 0.22115 2.94595 -1.58168 0.06
H 0.80149 -2.84709 0.98095 0.07
C -1.72943 -0.48278 0.81033 -0.09
H 0.76642 1.34480 -1.08160 0.04
H -1.89526 0.44205 0.25178 0.07
H -0.16839 -2.16709 2.28339 0.07
H -0.59309 -0.62998 -1.72231 0.07
C -0.50179 -1.53458 -1.11155 -0.09
H 1.98502 4.03926 -0.21973 0.06
H -2.59255 -1.12680 0.64368 0.08
C -0.44738 -1.17810 0.37300 -0.51
C -0.17071 -2.41554 1.22183 -0.09
H 2.73793 2.87036 -1.28009 0.06
H -1.37752 -2.14774 -1.32578 0.08
H 0.02120 2.44211 0.09272 0.06
H 2.50145 2.46315 0.42299 0.06
C 0.68478 2.38622 -0.77125 -0.17
H 0.38837 -2.08381 -1.42005 0.08
```

The LUMO energy is 1.09 eV. Its orbital gap is 12.4 eV. The charge is 0. As for the SMILES: CC(C)C.CC. As for the multiplicity: 1.

---

two:
A 2-piece molecular cluster, C6H16 overall, computed with ωB97M-V/def2-TZVPD.

Geometry as XYZ:
```
22
Properties=species:S:1:pos:R:3:lowdin_charge:R:1
H 2.43396 0.82820 -0.86894 0.02
H 0.92367 -0.71326 -0.21613 0.07
H -0.42071 0.47500 -0.30798 0.06
C -1.95275 -1.06775 -1.47615 -0.08
C -1.12467 -1.55949 -0.27716 -0.42
H -1.50772 -0.35536 -2.11505 0.05
H -2.92384 -1.15894 0.93174 0.06
H 0.90056 2.59340 -0.03504 0.04
H 2.19067 3.61464 0.41227 0.04
H -2.06016 -2.02936 -2.01341 0.08
H 0.08208 -0.54883 1.24480 0.06
C -0.08116 -0.43579 0.18215 -0.08
H -2.99133 -0.74317 -1.25606 0.08
H 1.69055 2.27568 1.60053 0.04
C 1.80721 2.61582 0.58291 -0.13
H -1.65132 -1.44432 1.93277 0.05
H -0.54368 -2.48177 -0.23279 0.12
H -2.34882 -2.80868 1.06332 0.08
C -2.01428 -1.74440 0.97288 -0.12
H 3.50626 2.20810 -0.68989 0.03
C 2.83703 1.54886 -0.16995 -0.14
H 3.24845 0.93141 0.73518 0.09
```

The LUMO energy is 1.11 eV. Its orbital gap is 11.7 eV. The charge is 0. As for the SMILES: CC(C)C.CC. As for the multiplicity: 1.

---

three:
A 2-piece molecular cluster, C6H16 overall, computed with ωB97M-V/def2-TZVPD.

Geometry as XYZ:
```
22
Properties=species:S:1:pos:R:3:lowdin_charge:R:1
H -1.77471 -2.53350 -1.45037 0.09
H 0.05448 1.58601 2.46556 0.06
C -1.36329 -1.83493 -0.72938 -0.32
H -0.27298 -0.73109 -2.22814 0.08
C -0.90750 -0.54308 -1.36057 -0.11
C 1.92841 1.24548 -0.00930 -0.13
H 1.62156 0.20361 0.11885 0.05
C 0.83412 2.19935 0.47807 -0.32
H -0.66070 -3.37814 0.82129 0.06
H -1.85496 -0.13873 -1.74655 0.08
H -0.42293 0.16961 -0.70685 0.01
C -0.28504 1.66063 1.44102 -0.09
H -0.64134 0.72553 0.94342 0.05
H -2.20717 -1.78381 -0.03844 0.10
H 1.39419 3.02711 0.95650 0.09
H 0.44892 -3.12188 -0.48536 0.07
H 0.37322 2.74596 -0.33447 0.08
H 0.17698 -1.92919 0.82502 0.05
H 2.21183 1.20717 -1.06709 0.08
H 2.73480 1.41589 0.69062 0.06
C -0.32002 -2.60569 0.11938 -0.13
H -1.06787 2.41369 1.29677 0.07
```
└──

Wednesday 5 April 2017

The Doctrine of Fascism: Fascism vs Marxism.


The second part of "The Doctrine of Fascism" ("Political and Social Doctrine", a little under 7 pages long) differs from the first in style and content and can be read profitably without it.

Perhaps as a former journalist Mussolini was a better writer than Gentile (the likely author of the first part). Here we'll assume that the second part was written by Il Duce himself. Gentile added the first, without taking credit, in an attempt to give the essay more intellectual credibility. Not a wise decision, in my opinion.

At any event, this second section, less philosophically ambitious, is much more instructive and -- at least -- understandable.